Source:
********
# 1
{
  "formula": "SmHRh",
  "functional": "GGA-PBE",
  "state": "relaxed",
  "lattice": [[3.883, 0.000, 0.000], [-1.941, 3.363, 0.000], [0.000, 0.000, 3.672]],
  "species": ["Sm", "H", "Rh"],
  "fractional_positions": [[0.000, 0.000, 0.000], [0.333, 0.667, 0.500], [0.667, 0.333, 0.500]],
  "volume_a3_per_atom": 15.98,
  "polymorph_energy_mev_per_atom": 208.5,
  "rho_g_cm3": 8.81,
  "final_energy_ev_per_fu": -16.41
}



# 2
{
  "formula": "Pu4Bi5H2",
  "functional": "GGA-PBE",
  "state": "relaxed",
  "lattice": [[9.011, -1.799, 0.000], [9.011, 1.799, 0.000], [-0.298, 0.000, 7.966]],
  "species": ["Pu", "Pu", "Pu", "Pu", "Bi", "Bi", "Bi", "Bi", "Bi", "H", "H"],
  "fractional_positions": [[0.013, 0.013, 0.346], [0.397, 0.397, 0.601], [0.603, 0.603, 0.399], [0.987, 0.987, 0.654], [0.153, 0.153, 0.065], [0.214, 0.214, 0.651], [0.500, 0.500, 0.000], [0.786, 0.786, 0.349], [0.847, 0.847, 0.935], [0.440, 0.440, 0.346], [0.560, 0.560, 0.654]],
  "volume_a3_per_atom": 23.47,
  "rho_g_cm3": 13.01,
  "final_energy_ev_per_fu": -84.05
}



# 3
{
  "formula": "Al3Cd2Au5",
  "functional": "GGA-PBE",
  "state": "relaxed",
  "lattice": [[6.239, 0.000, 0.000], [-1.041, 7.580, 0.000], [-1.374, -1.890, 7.848]],
  "species": ["Al", "Al", "Al", "Al", "Al", "Al", "Cd", "Cd", "Cd", "Cd", "Au", "Au", "Au", "Au", "Au", "Au", "Au", "Au", "Au", "Au"],
  "fractional_positions": [[0.047, 0.306, 0.023], [0.232, 0.553, 0.480], [0.421, 0.944, 0.712], [0.579, 0.056, 0.288], [0.768, 0.447, 0.520], [0.953, 0.694, 0.977], [0.109, 0.893, 0.350], [0.461, 0.686, 0.082], [0.539, 0.314, 0.918], [0.891, 0.107, 0.650], [0.022, 0.774, 0.669], [0.130, 0.456, 0.780], [0.247, 0.993, 0.023], [0.420, 0.368, 0.249], [0.421, 0.218, 0.556], [0.579, 0.782, 0.444], [0.580, 0.632, 0.751], [0.753, 0.007, 0.977], [0.870, 0.544, 0.220], [0.978, 0.226, 0.331]],
  "volume_a3_per_atom": 18.56,
  "rho_g_cm3": 11.55,
  "final_energy_ev_per_fu": -32.06
}



# 4
{
  "formula": "Tb2Zr2S7",
  "functional": "GGA-PBE",
  "state": "relaxed",
  "lattice": [[-1.906, 6.876, 4.203], [1.906, -6.876, 4.203], [1.906, 6.876, -4.203]],
  "species": ["Tb", "Tb", "Zr", "Zr", "S", "S", "S", "S", "S", "S", "S"],
  "fractional_positions": [[0.231, 0.000, 0.231], [0.769, 0.000, 0.769], [0.299, 0.799, 0.500], [0.743, 0.743, 0.000], [0.025, 0.705, 0.319], [0.074, 0.074, 0.000], [0.374, 0.477, 0.896], [0.386, 0.705, 0.681], [0.581, 0.477, 0.104], [0.663, 0.291, 0.371], [0.920, 0.291, 0.629]],
  "volume_a3_per_atom": 20.02,
  "rho_g_cm3": 5.46,
  "final_energy_ev_per_fu": -73.96,
  "raw_formation_energy_ev_per_atom": -1.701
}



# 5
{
  "formula": "CaHfZn3",
  "functional": "GGA-PBE",
  "state": "relaxed",
  "lattice": [[4.935, 0.000, 0.000], [0.000, 4.935, 0.000], [0.000, 0.000, 4.935]],
  "species": ["Ca", "Hf", "Zn", "Zn", "Zn"],
  "fractional_positions": [[0.000, 0.000, 0.000], [0.500, 0.500, 0.500], [0.000, 0.000, 0.500], [0.000, 0.500, 0.000], [0.500, 0.000, 0.000]],
  "volume_a3_per_atom": 24.04,
  "polymorph_energy_mev_per_atom": 633.6,
  "rho_g_cm3": 5.73,
  "final_energy_ev_per_fu": -10.18
}



# 6
{
  "formula": "PrNdGaCo",
  "functional": "GGA-PBE",
  "state": "relaxed",
  "lattice": [[4.324, 0.000, 0.000], [0.000, 2.016, 5.597], [0.000, -2.016, 5.597]],
  "species": ["Pr", "Nd", "Ga", "Co"],
  "fractional_positions": [[0.000, 0.000, 0.000], [0.500, 0.722, 0.722], [0.500, 0.424, 0.424], [0.000, 0.308, 0.308]],
  "volume_a3_per_atom": 24.39,
  "polymorph_energy_mev_per_atom": 0.0,
  "rho_g_cm3": 7.04,
  "final_energy_ev_per_fu": -20.80
}



# 7
{
  "formula": "RbAg3N",
  "functional": "GGA-PBE",
  "state": "relaxed",
  "lattice": [[6.674, 0.000, 0.000], [0.000, 6.674, 0.000], [0.000, 0.000, 6.674]],
  "species": ["Rb", "Ag", "Ag", "Ag", "N"],
  "fractional_positions": [[0.000, 0.000, 0.000], [0.000, 0.000, 0.500], [0.000, 0.500, 0.000], [0.500, 0.000, 0.000], [0.500, 0.500, 0.500]],
  "volume_a3_per_atom": 59.46,
  "polymorph_energy_mev_per_atom": 1455.2,
  "rho_g_cm3": 2.36,
********
Work order:
The reader should print all of the listing further up verbatim.
Worked solution:
# 1
{
  "formula": "SmHRh",
  "functional": "GGA-PBE",
  "state": "relaxed",
  "lattice": [[3.883, 0.000, 0.000], [-1.941, 3.363, 0.000], [0.000, 0.000, 3.672]],
  "species": ["Sm", "H", "Rh"],
  "fractional_positions": [[0.000, 0.000, 0.000], [0.333, 0.667, 0.500], [0.667, 0.333, 0.500]],
  "volume_a3_per_atom": 15.98,
  "polymorph_energy_mev_per_atom": 208.5,
  "rho_g_cm3": 8.81,
  "final_energy_ev_per_fu": -16.41
}



# 2
{
  "formula": "Pu4Bi5H2",
  "functional": "GGA-PBE",
  "state": "relaxed",
  "lattice": [[9.011, -1.799, 0.000], [9.011, 1.799, 0.000], [-0.298, 0.000, 7.966]],
  "species": ["Pu", "Pu", "Pu", "Pu", "Bi", "Bi", "Bi", "Bi", "Bi", "H", "H"],
  "fractional_positions": [[0.013, 0.013, 0.346], [0.397, 0.397, 0.601], [0.603, 0.603, 0.399], [0.987, 0.987, 0.654], [0.153, 0.153, 0.065], [0.214, 0.214, 0.651], [0.500, 0.500, 0.000], [0.786, 0.786, 0.349], [0.847, 0.847, 0.935], [0.440, 0.440, 0.346], [0.560, 0.560, 0.654]],
  "volume_a3_per_atom": 23.47,
  "rho_g_cm3": 13.01,
  "final_energy_ev_per_fu": -84.05
}



# 3
{
  "formula": "Al3Cd2Au5",
  "functional": "GGA-PBE",
  "state": "relaxed",
  "lattice": [[6.239, 0.000, 0.000], [-1.041, 7.580, 0.000], [-1.374, -1.890, 7.848]],
  "species": ["Al", "Al", "Al", "Al", "Al", "Al", "Cd", "Cd", "Cd", "Cd", "Au", "Au", "Au", "Au", "Au", "Au", "Au", "Au", "Au", "Au"],
  "fractional_positions": [[0.047, 0.306, 0.023], [0.232, 0.553, 0.480], [0.421, 0.944, 0.712], [0.579, 0.056, 0.288], [0.768, 0.447, 0.520], [0.953, 0.694, 0.977], [0.109, 0.893, 0.350], [0.461, 0.686, 0.082], [0.539, 0.314, 0.918], [0.891, 0.107, 0.650], [0.022, 0.774, 0.669], [0.130, 0.456, 0.780], [0.247, 0.993, 0.023], [0.420, 0.368, 0.249], [0.421, 0.218, 0.556], [0.579, 0.782, 0.444], [0.580, 0.632, 0.751], [0.753, 0.007, 0.977], [0.870, 0.544, 0.220], [0.978, 0.226, 0.331]],
  "volume_a3_per_atom": 18.56,
  "rho_g_cm3": 11.55,
  "final_energy_ev_per_fu": -32.06
}



# 4
{
  "formula": "Tb2Zr2S7",
  "functional": "GGA-PBE",
  "state": "relaxed",
  "lattice": [[-1.906, 6.876, 4.203], [1.906, -6.876, 4.203], [1.906, 6.876, -4.203]],
  "species": ["Tb", "Tb", "Zr", "Zr", "S", "S", "S", "S", "S", "S", "S"],
  "fractional_positions": [[0.231, 0.000, 0.231], [0.769, 0.000, 0.769], [0.299, 0.799, 0.500], [0.743, 0.743, 0.000], [0.025, 0.705, 0.319], [0.074, 0.074, 0.000], [0.374, 0.477, 0.896], [0.386, 0.705, 0.681], [0.581, 0.477, 0.104], [0.663, 0.291, 0.371], [0.920, 0.291, 0.629]],
  "volume_a3_per_atom": 20.02,
  "rho_g_cm3": 5.46,
  "final_energy_ev_per_fu": -73.96,
  "raw_formation_energy_ev_per_atom": -1.701
}



# 5
{
  "formula": "CaHfZn3",
  "functional": "GGA-PBE",
  "state": "relaxed",
  "lattice": [[4.935, 0.000, 0.000], [0.000, 4.935, 0.000], [0.000, 0.000, 4.935]],
  "species": ["Ca", "Hf", "Zn", "Zn", "Zn"],
  "fractional_positions": [[0.000, 0.000, 0.000], [0.500, 0.500, 0.500], [0.000, 0.000, 0.500], [0.000, 0.500, 0.000], [0.500, 0.000, 0.000]],
  "volume_a3_per_atom": 24.04,
  "polymorph_energy_mev_per_atom": 633.6,
  "rho_g_cm3": 5.73,
  "final_energy_ev_per_fu": -10.18
}



# 6
{
  "formula": "PrNdGaCo",
  "functional": "GGA-PBE",
  "state": "relaxed",
  "lattice": [[4.324, 0.000, 0.000], [0.000, 2.016, 5.597], [0.000, -2.016, 5.597]],
  "species": ["Pr", "Nd", "Ga", "Co"],
  "fractional_positions": [[0.000, 0.000, 0.000], [0.500, 0.722, 0.722], [0.500, 0.424, 0.424], [0.000, 0.308, 0.308]],
  "volume_a3_per_atom": 24.39,
  "polymorph_energy_mev_per_atom": 0.0,
  "rho_g_cm3": 7.04,
  "final_energy_ev_per_fu": -20.80
}



# 7
{
  "formula": "RbAg3N",
  "functional": "GGA-PBE",
  "state": "relaxed",
  "lattice": [[6.674, 0.000, 0.000], [0.000, 6.674, 0.000], [0.000, 0.000, 6.674]],
  "species": ["Rb", "Ag", "Ag", "Ag", "N"],
  "fractional_positions": [[0.000, 0.000, 0.000], [0.000, 0.000, 0.500], [0.000, 0.500, 0.000], [0.500, 0.000, 0.000], [0.500, 0.500, 0.500]],
  "volume_a3_per_atom": 59.46,
  "polymorph_energy_mev_per_atom": 1455.2,
  "rho_g_cm3": 2.36,